| - Space Mutiny is a 1988 direct-to-video entry in the Battlestar Galactica franchise directed by David Winters. It follows the Battlestar Southern Sun (under the command of Captain Santa Claus) and the thwarting of an attempted mutiny by Commander Calgon by ace Viper pilot Buff Hardpack.
1.
DFT (ωB97M-V with the def2-TZVPD basis set) results for a structure of composition C12H21BCaN5 at a distorted geometry.

Structure (XYZ):
```
40
Properties=species:S:1:pos:R:3:forces:R:3
Ca -0.006 0.183 -0.709 -0.57 -0.15 -1.33
C 2.038 -0.244 1.455 0.46 -0.43 0.10
C 2.525 -1.118 0.296 0.51 0.20 0.45
N 1.399 -1.627 -0.491 0.73 -1.00 -0.41
C 0.635 -2.709 0.141 -0.17 -0.48 0.24
C -0.836 -2.364 0.140 -0.17 -0.96 0.00
C -1.846 -3.222 -0.279 0.06 0.17 0.08
C -3.154 -2.759 -0.245 0.09 0.03 0.06
C -3.417 -1.465 0.181 0.18 0.05 0.05
C -2.347 -0.676 0.584 -0.94 -0.14 0.22
C -2.467 0.754 1.055 -0.41 -0.16 0.30
N -1.479 1.590 0.365 -0.92 0.90 0.06
C -0.630 2.403 1.240 0.37 0.34 0.49
C 0.429 1.543 1.935 -0.32 0.44 0.33
N 1.303 0.912 0.952 0.95 0.66 0.72
N -1.105 -1.141 0.577 -0.82 -1.08 1.38
H 2.901 0.043 2.074 -0.19 -0.10 -0.04
H 1.353 -0.827 2.076 0.07 0.07 0.07
H 3.146 -1.935 0.701 -0.10 0.24 -0.15
H 3.146 -0.506 -0.370 -0.03 -0.19 0.08
H 1.761 -1.956 -1.384 -0.07 0.07 0.14
H 0.948 -2.814 1.188 0.01 -0.08 -0.18
H 0.799 -3.672 -0.352 0.03 0.15 0.09
H -1.624 -4.218 -0.629 0.08 -0.07 -0.03
H -3.963 -3.402 -0.557 -0.08 -0.05 -0.06
H -4.427 -1.084 0.192 -0.06 0.08 0.02
H -2.264 0.765 2.133 -0.12 0.05 -0.11
H -3.488 1.118 0.907 0.15 0.00 0.05
H -1.963 2.216 -0.276 0.09 -0.12 0.10
H -1.220 2.932 2.006 0.18 -0.06 -0.22
H -0.124 3.148 0.613 -0.17 -0.05 0.12
H -0.071 0.746 2.492 0.10 0.04 0.07
H 0.983 2.166 2.651 -0.13 -0.16 -0.05
H 1.969 1.604 0.606 -0.10 -0.08 -0.03
B 2.116 2.930 -3.870 0.25 0.30 -0.28
C 1.365 2.005 -2.934 -0.57 -0.67 0.60
N 0.776 1.286 -2.222 1.45 2.02 -2.70
H 1.644 2.738 -4.949 -0.11 -0.03 -0.35
H 3.266 2.617 -3.813 0.36 -0.09 0.02
H 1.926 4.042 -3.480 -0.05 0.35 0.12
```
Forces are in eV/Å.

Its HOMO-LUMO gap is 8.23 eV. The largest force on an atom is 0.07139 hartree/bohr. The molar mass is 286.23 g mol⁻¹. For the energy, the calculation gives -39346.050 eV. Its LUMO energy is -0.13162 Ha. The energy above the lowest of the compared OMol25 structures with the same formula, charge and spin is 171.93 kJ/mol. As for the net charge: +1.


2.
DFT (ωB97M-V with the def2-TZVPD basis set) results for a cluster of 12 separate species, C17H43BF4N13O23 in total at a distorted geometry.

Structure (XYZ):
```
101
Properties=species:S:1:pos:R:3:forces:R:3
N 2.797 2.962 2.280 -0.33 -0.48 -2.38
B 2.561 2.538 0.889 1.20 1.16 0.23
O 3.540 2.689 -0.138 -0.98 -1.17 2.34
C 1.128 1.827 0.512 1.43 1.25 -1.40
C 0.095 2.973 0.123 -0.46 -0.16 -0.07
F -0.054 3.091 -1.274 0.33 -0.38 2.37
F 0.562 4.228 0.566 -0.76 -1.92 -0.55
C -1.363 2.800 0.709 -2.02 2.04 -0.52
F -1.416 2.922 2.119 0.59 -1.03 -2.20
F -2.016 1.631 0.257 1.88 1.41 1.06
C 1.373 0.712 -0.615 -1.56 -0.56 1.81
C 0.284 -0.383 -0.132 1.38 -1.53 0.40
C 0.247 -0.183 1.433 0.13 1.94 -2.17
N 0.740 1.015 1.688 -1.84 -2.53 0.55
H 3.694 3.438 2.404 -0.63 -0.01 0.41
H 2.018 3.494 2.674 0.60 -0.23 0.16
H 4.401 2.634 0.329 -0.33 0.48 -0.76
H -2.010 3.667 0.317 1.02 -1.31 0.55
H 2.404 0.326 -0.369 -1.12 0.24 -0.84
- Space Mutiny (also known as Mutiny in Space) is a 1988 legendarily bad science-fiction action film starring Reb Brown about, surprisingly enough, a mutiny aboard the spaceship known as the Southern Sun. Space Mutiny was filmed in South Africa during The Apartheid Era (a fact understandably not mentioned on the end credits - see also Prisoners of the Lost Universe, Golden Rendezvous, Hellgate etc), which some viewers think ties in to all the pseudo-fascistic goings-on (and explains the all-white cast, not that that was exactly unusual in Hollywood action movies of the time).
| - Space Mutiny is a 1988 direct-to-video entry in the Battlestar Galactica franchise directed by David Winters. It follows the Battlestar Southern Sun (under the command of Captain Santa Claus) and the thwarting of an attempted mutiny by Commander Calgon by ace Viper pilot Buff Hardpack. Space Mutiny influenced Ronald D. Moore's reimagining of Battlestar Galactica in a variety of ways—regardless of whether or not Moore ever actually watched it—including the captain's conflicted attitude toward his child, the hotshot pilot who has trouble with interpersonal relationships, and the traitor hiding among the crew. There's no Cylons, though.
- Space Mutiny (also known as Mutiny in Space) is a 1988 legendarily bad science-fiction action film starring Reb Brown about, surprisingly enough, a mutiny aboard the spaceship known as the Southern Sun. The Southern Sun is a seedship, a spacefaring vessel full of colonists out to settle a new world. Its voyage has lasted generations, so many of its inhabitants have been born and will die without ever setting foot on solid ground. This does not please the antagonist, Elijah Kalgan (not be confused with Calgon), who conspires with the pirates infesting the nearby Corona Borealis system and the ship's Chief Engineer MacPhearson. Kalgan hatches a plot to disrupt the Southern Sun's navigation systems and use the Enforcers, the ship's police force, to hijack the ship and direct it towards this system. At this point, the inhabitants of the Southern Sun will have no choice but to accept his 'generosity'. Kalgan sabotages the vessel's guidance system just as an important professor's shuttle is on a landing trajectory, causing it to crash (offscreen). The ship's pilot, Dave Ryder, is able to escape, but the professor dies in the explosion. This sabotage seals off the flight deck for a number of weeks, allowing Kalgan and the Enforcers to hold the entire population of the Southern Sun hostage. Commander Jansen and Captain Devers enlist Ryder's assistance, aided begrudgingly by Jansen's daughter Dr. Lea Jansen, to regain control of the ship. Space Mutiny was filmed in South Africa during The Apartheid Era (a fact understandably not mentioned on the end credits - see also Prisoners of the Lost Universe, Golden Rendezvous, Hellgate etc), which some viewers think ties in to all the pseudo-fascistic goings-on (and explains the all-white cast, not that that was exactly unusual in Hollywood action movies of the time). For the Mystery Science Theater 3000 version, please go to the episode recap page.